Principle 36 (YP+10)

The Right to the Enjoyment of Human Rights in Relation to Information and Communication Technologies

Everyone is entitled to the same protection of rights online as they are offline. Everyone has the right to access and use information and communication technologies, including the internet, without violence, discrimination or other harm based on sexual orientation, gender identity, gender expression or sex characteristics. Secure digital communications, including the use of encryption, anonymity and pseudonymity tools are essential for the full realisation of human rights, in particular the rights to life, bodily and mental integrity, health, privacy, due process, freedom of opinion and expression, peaceful assembly and association.

[Inserted here: crystal structures]
/*
# 1
VASP calculation (meta-GGA SCAN) on a crystal of Mn2IrSe relaxed with PBEsol.

Output
M_tot: 16.22 μB/cell
D(E_F): 0.562 states/eV/atom

a = 3.9474 Å, b = 3.9474 Å, c = 7.3234 Å
α = 90.00°, β = 90.00°, γ = 90.00°
With the nearest neighbours (Å) after each atom.
Fractional positions:
Mn (0.0000, 0.5000, 0.2500)  4 Se 2.69, 4 Ir 2.69, 4 Mn 2.79
Mn (0.0000, 0.5000, 0.7500)  4 Ir 2.69, 4 Se 2.69, 4 Mn 2.79
Mn (0.5000, 0.0000, 0.2500)  4 Se 2.69, 4 Ir 2.69, 4 Mn 2.79
Mn (0.5000, 0.0000, 0.7500)  4 Ir 2.69, 4 Se 2.69, 4 Mn 2.79
Ir (0.0000, 0.0000, 0.0000)  8 Mn 2.69, 4 Se 2.79
Ir (0.5000, 0.5000, 0.5000)  8 Mn 2.69, 4 Se 2.79
Se (0.0000, 0.0000, 0.5000)  8 Mn 2.69, 4 Ir 2.79
Se (0.5000, 0.5000, 0.0000)  8 Mn 2.69, 4 Ir 2.79

---

# 2
VASP calculation (meta-GGA SCAN) on a crystal of YTmMg2 relaxed with PBEsol.

Output
ΔH_f (0 K): -0.081 eV/atom
M_tot: 0.00 μB/cell
D(E_F): 1.304 states/eV/atom

a = 7.4614 Å, b = 7.4614 Å, c = 7.4614 Å
α = 90.00°, β = 90.00°, γ = 90.00°
With the nearest neighbours (Å) after each atom.
Fractional positions:
Y (0.0000, 0.0000, 0.0000)  8 Mg 3.23
Y (0.0000, 0.5000, 0.5000)  8 Mg 3.23
Y (0.5000, 0.0000, 0.5000)  8 Mg 3.23
Y (0.5000, 0.5000, 0.0000)  8 Mg 3.23
Tm (0.0000, 0.0000, 0.5000)  8 Mg 3.23
Tm (0.0000, 0.5000, 0.0000)  8 Mg 3.23
Tm (0.5000, 0.0000, 0.0000)  8 Mg 3.23
Tm (0.5000, 0.5000, 0.5000)  8 Mg 3.23
Mg (0.2500, 0.2500, 0.2500)  4 Tm 3.23, 4 Y 3.23
Mg (0.2500, 0.2500, 0.7500)  4 Tm 3.23, 4 Y 3.23
Mg (0.2500, 0.7500, 0.2500)  4 Tm 3.23, 4 Y 3.23
Mg (0.2500, 0.7500, 0.7500)  4 Tm 3.23, 4 Y 3.23
Mg (0.7500, 0.2500, 0.2500)  4 Tm 3.23, 4 Y 3.23
Mg (0.7500, 0.2500, 0.7500)  4 Tm 3.23, 4 Y 3.23
Mg (0.7500, 0.7500, 0.2500)  4 Tm 3.23, 4 Y 3.23
Mg (0.7500, 0.7500, 0.7500)  4 Y 3.23, 4 Tm 3.23

---

# 3
VASP calculation (meta-GGA SCAN) on a crystal of K2CdFe relaxed with PBEsol.

Output
ΔH_f (0 K): 0.662 eV/atom
M_tot: 6.41 μB/cell
D(E_F): 0.451 states/eV/atom

a = 6.3754 Å, b = 10.5068 Å, c = 3.4657 Å
α = 90.00°, β = 90.00°, γ = 90.00°
With the nearest neighbours (Å) after each atom.
Fractional positions:
K (0.2500, 0.2500, 0.0000)  4 K 3.19-3.47, 4 Cd 3.53, 4 Fe 3.53
K (0.2500, 0.7500, 0.0000)  4 K 3.19-3.47, 4 Cd 3.53, 4 Fe 3.53
K (0.7500, 0.2500, 0.0000)  4 K 3.19-3.47, 4 Cd 3.53, 4 Fe 3.53
K (0.7500, 0.7500, 0.0000)  4 K 3.19-3.47, 4 Cd 3.53, 4 Fe 3.53
Cd (0.0000, 0.0000, 0.5000)  2 Fe 3.19, 2 Cd 3.47, 8 K 3.53
Cd (0.5000, 0.5000, 0.5000)  2 Fe 3.19, 2 Cd 3.47, 8 K 3.53
Fe (0.0000, 0.5000, 0.5000)  2 Cd 3.19, 2 Fe 3.47, 8 K 3.53
Fe (0.5000, 0.0000, 0.5000)  2 Cd 3.19, 2 Fe 3.47, 8 K 3.53

---

# 4
VASP calculation (meta-GGA SCAN) on a crystal of ThSbRh relaxed with PBEsol.

Output
M_tot: 0.00 μB/cell

a = 6.6397 Å, b = 6.6397 Å, c = 6.6397 Å
α = 90.00°, β = 90.00°, γ = 90.00°
With the nearest neighbours (Å) after each atom.
Fractional positions:
Th (0.0000, 0.0000, 0.0000)  4 Rh 2.88
Th (0.0000, 0.5000, 0.5000)  4 Rh 2.88
Th (0.5000, 0.0000, 0.5000)  4 Rh 2.88
Th (0.5000, 0.5000, 0.0000)  4 Rh 2.88
*/
[Back to the text]


A)  Take all necessary measures to ensure that all persons enjoy universal, affordable, open, safe, secure and equal access to information and communication technologies, including the internet, without discrimination based on sexual orientation, gender identity, gender expression or sex characteristics;

B)  Ensure the right of all individuals, without discrimination based on sexual orientation, gender identity, gender expression or sex characteristics, to seek, receive and impart information and ideas of all kinds, including those concerning sexual orientation, gender identity, gender expression and sex characteristics, through information and communication technologies;

C)  Ensure that any restrictions to the right to access and use information and communication technologies and the internet are provided for by law and are necessary and proportionate to protect the human dignity, equality and freedoms of others, without discrimination on the basis of sexual orientation, gender identity, gender expression or sex characteristics;

D)  Respect and protect the privacy and security of digital communications, including the use by individuals of encryption, pseudonyms and anonymity technology;

E)  Ensure that any restrictions on the right to privacy, including through mass or targeted surveillance, requests for access to personal data, or through limitations on the use of encryption, pseudonymity and anonymity tools, are on a case specific basis, and are reasonable, necessary and proportionate as required by the law for a legitimate purpose and ordered by a court;

F)  Take measures to ensure that the processing of personal data for individual profiling is consistent with relevant human rights standards including personal data protection and does not lead to discrimination, including on the grounds of sexual orientation, gender identity, gender expression and sex characteristics;

G)  Take all necessary legislative, administrative, technical and other measures, including ensuring private sector accountability, as outlined by relevant international standards, in consultation with relevant stakeholders, to seek to prevent, remedy and eliminate online hate speech, harassment and technology-related violence against persons on the basis of sexual orientation, gender identity, gender expression or sex characteristics under the framework of international human rights law.